### To do
Retype every line further down that contains the word "multiplicity".

### Given
~~~
TmMn2O6: computed PXRD pattern (Cu Kα, 1.54184 Å), based on the GGA+U geometry in Alexandria.
Peak positions follow from Bragg's law for the DFT cell and can differ from measured ones.

Atomic structure:
abc: 4.9991 4.9991 4.7738
angles: 90.00 90.00 120.00
Space group P-31m (No. 162)
Asymmetric unit:
Tm 0.0000 0.0000 0.0000 (multiplicity 1)
Mn 0.3333 0.6667 0.5000 (multiplicity 2)
O 0.0000 0.3618 0.7203 (multiplicity 6)

Main lines, most intense first (2θ from 15° to 90°):
2θ (°)	I_rel
27.8	100
53.1	32
~~~

### Worked solution
Tm 0.0000 0.0000 0.0000 (multiplicity 1)
Mn 0.3333 0.6667 0.5000 (multiplicity 2)
O 0.0000 0.3618 0.7203 (multiplicity 6)